5 Tips to Help Close Deals in a M&A Market

It’s important to close deals at any point during the sales cycle. You need to pick the best words for closing sales. So, if you’re going to invest time into something, then don’t just give up when things get tough.

-- Someone pasted materials data at this point --
(1)
{"formula": "MgV4Ag2O11", "functional": "GGA+U", "state": "relaxed", "e_form_ev_per_fu": -37.30, "magmom_total_mub_per_atom": 0.11, "volume_a3_per_atom": 12.379, "lattice": [[3.682, 0.000, 0.000], [1.548, 7.608, 0.000], [1.764, 1.404, 7.955]], "species": ["Mg", "V", "V", "V", "V", "Ag", "Ag", "O", "O", "O", "O", "O", "O", "O", "O", "O", "O", "O"], "frac_coords": [[0.000, 0.000, 0.000], [0.029, 0.454, 0.473], [0.316, 0.742, 0.662], [0.521, 0.747, 0.262], [0.813, 0.477, 0.906], [0.581, 0.126, 0.698], [0.771, 0.104, 0.345], [0.023, 0.687, 0.285], [0.150, 0.304, 0.343], [0.166, 0.919, 0.778], [0.329, 0.517, 0.837], [0.389, 0.887, 0.437], [0.477, 0.942, 0.094], [0.498, 0.529, 0.470], [0.685, 0.596, 0.063], [0.846, 0.665, 0.667], [0.863, 0.259, 0.007], [0.995, 0.314, 0.669]]}

---

(2)
{"formula": "AlNiO3", "functional": "GGA+U", "state": "relaxed", "e_form_ev_per_fu": -9.18, "magmom_total_mub_per_atom": 0.08, "volume_a3_per_atom": 9.347, "lattice": [[3.111, 0.000, 0.000], [-1.555, 2.694, 0.000], [0.000, 0.000, 11.154]], "species": ["Al", "Al", "Ni", "Ni", "O", "O", "O", "O", "O", "O"], "frac_coords": [[0.000, 0.000, 0.000], [0.000, 0.000, 0.500], [0.333, 0.667, 0.250], [0.667, 0.333, 0.750], [0.000, 0.000, 0.250], [0.000, 0.000, 0.750], [0.333, 0.667, 0.080], [0.333, 0.667, 0.420], [0.667, 0.333, 0.580], [0.667, 0.333, 0.920]]}

* * * * *

# 1
Na3Zr2Si2PO12 | GGA-PBE | optimized geometry

a = 9.197 Å, b = 9.202 Å, c = 9.221 Å
α = 89.98°, β = 60.26°, γ = 60.09°
Fractional positions:
Na 0.000 0.000 0.000
Na 0.004 0.221 0.499
Na 0.378 0.351 0.966
Na 0.488 0.634 0.755
Na 0.497 0.124 0.261
Na 0.608 0.739 0.052
Zr 0.202 0.753 0.200
Zr 0.207 0.251 0.696
Zr 0.778 0.469 0.320
Zr 0.794 0.955 0.815
Si 0.278 0.072 0.022
Si 0.295 0.857 0.509
Si 0.708 0.356 0.996
Si 0.997 0.650 0.005
P 0.698 0.153 0.507
P 0.995 0.561 0.507
O 0.075 0.910 0.684
O 0.077 0.237 0.204
O 0.108 0.602 0.341
O 0.138 0.476 0.833
O 0.153 0.678 0.018
O 0.156 0.384 0.505
O 0.262 0.117 0.856
O 0.292 0.886 0.025
O 0.300 0.811 0.333
O 0.302 0.032 0.507
O 0.481 0.688 0.507
O 0.482 0.040 0.997
O 0.506 0.529 0.018
O 0.521 0.175 0.507
O 0.686 0.114 0.676
O 0.688 0.188 0.990
O 0.693 0.324 0.508
O 0.724 0.383 0.162
O 0.833 0.834 0.998
O 0.838 0.538 0.510
O 0.857 0.613 0.176
O 0.877 0.717 0.675
O 0.904 0.995 0.341
O 0.910 0.322 0.815

The spin magnetization comes out at 0.003 Bohr magnetons per cell. The calculation puts the total energy after the MP2020 corrections at -318.688 eV for the cell shown. The polymorph energy (0 for the lowest one) is 17 meV/atom.


# 2
W | GGA-PBE | optimized geometry

a = 2.783 Å, b = 2.783 Å, c = 4.954 Å
α = 90.00°, β = 90.00°, γ = 120.00°
Fractional positions:
W 0.333 0.667 0.250
W 0.667 0.333 0.750

The spin magnetization comes out at 0.000 Bohr magnetons per cell. The polymorph energy (0 for the lowest one) is 496 meV/atom.


# 3
TmRh2Pb | GGA-PBE | optimized geometry

a = 4.740 Å, b = 4.740 Å, c = 4.740 Å
α = 60.00°, β = 60.00°, γ = 60.00°
Fractional positions:

5 Tips to Help Close That Sale

Salespeople are often reminded to follow the fundamental rules of salesmanship by recalling the acronym “ABC,” which stands for “Always Be Closing.”

Tip #1: Pick a data room where you can access it from any device.

Web browsers (including those running on smartphones and tablets) should be able to access data room portals so they can stay connected wherever they may be.

Tip#2: Choose technologies that are fast enough for your needs.

Using technologies such as Akamai, data rooms can improve web performance.

Tip #3: Use M&A Q&A

The Q&A feature in a data room enables workflow to be controlled, helps avoid duplication, and mitigates risk, avoiding pitfalls that can delay a deal’s close. In this article, we will explain how the Q&A feature works, what it does for you, and how you can use it to your advantage.

What is the Q&A feature? The Q&A feature allows users to ask questions about the data room contents. The answers are stored on the server and can be accessed by anyone with access to the data room. How does it work? When an attendee opens the data room, they see all of the documents available for viewing. They may also see some metadata about the document, such as its title or who created it. If there is any question about the content of the data room, the attendees can click on the “Q&A” button at the top right corner of the screen. This brings up a list of questions that have been asked before. The attendees can then answer each question individually.

Tip #4: Customer service

Many bankers prefer working long hours, on weekends, or during public holidays because they don’t want to miss out on any deals. Real-time 24/7 phone support for M&M&A due diligence, where buyers and sellers can talk directly to an actual human being within a couple of rings, is usually quite valuable. The most common reason why banks are not interested in providing such services is that it would be too expensive. But this is simply not true. It costs less than $1 per hour to provide real-time support over the phone.

Tip #5: Security

Documents viewed outside a data room must be able to be traced back. Data rooms should allow you to delete documents even if they’ve already been saved and downloaded. Access the data room and make sure it is secure. You may want to limit who has access to the data room to just a few people or even just one person.

Documents viewed outside a data room must be able to be traced back. Data rooms should allow you to delete documents even if they’ve already been saved and downloaded.

Data rooms are used for many different purposes, but the most common use is as an archive of sensitive information. It’s important that your data room allows you to control access to this information.